10 Strategies for HSP Who Want to Effectively Regulate Their Emotions

# Next to the article, the page also holds calculated crystals
-- begin --
! RbB2P2HO9, optimized geometry, DFT PBE-GGA; values from VASP
&SYSTEM
  ibrav = 0, nat = 60, ntyp = 5
/
ATOMIC_SPECIES
Rb 85.47 Rb.upf
B 10.81 B.upf
P 30.97 P.upf
H 1.01 H.upf
O 16.00 O.upf
ATOMIC_POSITIONS crystal
Rb 0.380 0.728 0.810
Rb 0.120 0.728 0.310
Rb 0.880 0.272 0.690
Rb 0.620 0.272 0.190
B 0.638 0.932 0.640
B 0.862 0.932 0.140
B 0.636 0.616 0.531
B 0.864 0.616 0.031
B 0.136 0.384 0.969
B 0.364 0.384 0.469
B 0.138 0.068 0.860
B 0.362 0.068 0.360
P 0.708 0.873 0.943
P 0.792 0.873 0.443
P 0.038 0.710 0.823
P 0.462 0.710 0.323
P 0.538 0.290 0.677
P 0.962 0.290 0.177
P 0.208 0.127 0.557
P 0.292 0.127 0.057
H 0.980 0.778 0.589
H 0.520 0.778 0.089
H 0.480 0.222 0.911
H 0.020 0.222 0.411
O 0.205 0.991 0.995
O 0.295 0.991 0.495
O 0.046 0.928 0.848
O 0.715 0.938 0.770
O 0.454 0.928 0.348
O 0.905 0.895 0.503
O 0.785 0.938 0.270
O 0.595 0.895 0.003
O 0.593 0.743 0.630
O 0.750 0.656 0.985
O 0.041 0.689 0.652
O 0.928 0.624 0.883
O 0.907 0.743 0.130
O 0.136 0.596 0.900
O 0.750 0.656 0.485
O 0.459 0.689 0.152
O 0.572 0.624 0.383
O 0.364 0.596 0.400
O 0.636 0.404 0.600
O 0.428 0.376 0.617
O 0.541 0.311 0.848
O 0.250 0.344 0.515
O 0.864 0.404 0.100
O 0.093 0.257 0.870
O 0.072 0.376 0.117
O 0.959 0.311 0.348
O 0.250 0.344 0.015
O 0.407 0.257 0.370
O 0.405 0.105 0.997
O 0.215 0.062 0.730
O 0.095 0.105 0.497
O 0.546 0.072 0.652
O 0.285 0.062 0.230
O 0.954 0.072 0.152
O 0.705 0.009 0.505
O 0.795 0.009 0.005
CELL_PARAMETERS angstrom
12.307 0.000 0.000
0.000 6.864 0.000
0.000 1.185 8.869
! Spin magnetization ... 0.00 μB/f.u.
! Total energy after the MP2020 corrections ... -449.523 eV per cell
! Calculated total energy ... -424.79 eV per cell
! ρ ... 2.8 g/cm3
! SG ... P2_1/c (14)

=====

! ZrGeP2SO12, optimized geometry, DFT PBE-GGA; values from VASP
&SYSTEM
  ibrav = 0, nat = 102, ntyp = 5
/
ATOMIC_SPECIES
Zr 91.22 Zr.upf
Ge 72.64 Ge.upf
P 30.97 P.upf
S 32.06 S.upf
O 16.00 O.upf
ATOMIC_POSITIONS crystal
Zr 0.000 0.004 0.354
Zr 0.993 0.006 0.647
Zr 0.011 0.002 0.133
Zr 0.666 0.337 0.695
Zr 0.677 0.337 0.476
Zr 0.326 0.672 0.302
Ge 0.003 0.000 0.859
Ge 0.671 0.339 0.180
Ge 0.654 0.336 0.974
Ge 0.333 0.669 0.017
Ge 0.337 0.670 0.523
Ge 0.350 0.672 0.820
P 0.307 0.031 0.243
P 0.974 0.277 0.243
P 0.275 0.294 0.761
P 0.709 0.988 0.760
P 0.973 0.356 0.584
P 0.649 0.618 0.583
P 0.952 0.596 0.076
P 0.403 0.362 0.077
P 0.626 0.672 0.919
P 0.333 0.952 0.918
P 0.611 0.936 0.419
P 0.065 0.681 0.419
S 0.720 0.697 0.244
S 0.018 0.721 0.759
S 0.379 0.031 0.584
S 0.645 0.043 0.077
S 0.042 0.376 0.918
S 0.325 0.385 0.418
O 0.220 0.054 0.300
O 0.826 0.778 0.299
O 0.945 0.165 0.300
O 0.198 0.168 0.816
O 0.974 0.795 0.812
O 0.833 0.027 0.814
O 0.787 0.950 0.704
O 0.159 0.209 0.706
O 0.051 0.830 0.705
O 0.797 0.811 0.191
O 0.002 0.187 0.188
O 0.182 0.984 0.189
O 0.880 0.378 0.639
O 0.490 0.117 0.638
O 0.621 0.501 0.639
O 0.873 0.477 0.132
O 0.611 0.121 0.131
O 0.523 0.397 0.133
O 0.470 0.306 0.022
O 0.832 0.514 0.020
O 0.687 0.158 0.023
O 0.453 0.140 0.531
O 0.678 0.532 0.528
-- stop --

Feb 15, 2017 | Blog

Highly Sensitive People tend to experience negative emotions with a special kind of intensity. It’s one of the downsides of having such a keen sense of self-awareness. When the emotion sets in, HSP tend to report a sense that the feeling will last forever. Ironically, HSP tend to also have a lower sense that they can do something to impact it once it sets in (even though, in reality, their sensitivity probably puts them in a position to be particularly effective in this way).

Attached: materials data
<<<
No. 1
DFT (PBE+U) results for crystalline Mn3P4O14 at its relaxed geometry.

Lattice parameters (Å, degrees): 5.335 6.496 16.284 81.33 80.30 72.57
Fractional positions:
1 O 0.250 0.327 0.090
2 Mn 0.050 0.608 0.827
3 Mn 0.745 0.025 0.679
4 P 0.282 0.781 0.542
5 P 0.718 0.219 0.458
6 O 0.138 0.611 0.541
7 O 0.097 0.979 0.584
8 Mn 0.950 0.392 0.173
9 O 0.794 0.340 0.665
10 O 0.761 0.699 0.713
11 O 0.354 0.546 0.739
12 O 0.298 0.615 0.908
13 P 0.606 0.565 0.685
14 O 0.750 0.673 0.910
15 O 0.648 0.141 0.994
16 Mn 0.828 0.713 0.414
17 O 0.646 0.454 0.261
18 O 0.669 0.864 0.296
19 O 0.578 0.157 0.544
20 O 0.352 0.859 0.006
21 O 0.862 0.389 0.459
22 O 0.422 0.843 0.456
23 O 0.239 0.301 0.287
24 O 0.331 0.136 0.704
25 P 0.833 0.900 0.209
26 O 0.605 0.029 0.153
27 P 0.394 0.435 0.315
28 P 0.553 0.229 0.078
29 P 0.447 0.771 0.922
30 O 0.470 0.317 0.406
31 P 0.167 0.100 0.791
32 O 0.010 0.311 0.827
33 Mn 0.172 0.287 0.586
34 O 0.991 0.953 0.785
35 O 0.903 0.021 0.416
36 O 0.395 0.971 0.847
37 Mn 0.255 0.975 0.321
38 O 0.009 0.047 0.215
39 O 0.530 0.683 0.594
40 O 0.702 0.385 0.092
41 O 0.206 0.660 0.335
42 O 0.990 0.689 0.173

E_tot: -310.47 eV/cell
Spin magnetization: 13.00 μB/f.u.
SG: P-1


No. 2
DFT (PBE+U) results for crystalline MnPO4 at its relaxed geometry.

Lattice parameters (Å, degrees): 5.965 5.295 10.661 60.68 90.00 90.00
Fractional positions:
1 O 0.665 0.232 0.272
2 P 0.337 0.622 0.633
3 Mn 0.880 0.192 0.141
4 O 0.342 0.731 0.012
5 Mn 0.120 0.808 0.859
6 O 0.147 0.286 0.227
7 O 0.158 0.731 0.512
8 O 0.353 0.286 0.727
9 O 0.647 0.714 0.273
10 Mn 0.380 0.808 0.359
11 O 0.165 0.768 0.228
12 O 0.658 0.269 0.988
13 O 0.835 0.232 0.772
14 P 0.163 0.622 0.133
15 O 0.057 0.290 0.962
16 O 0.443 0.290 0.462
17 Mn 0.620 0.192 0.641
18 O 0.335 0.768 0.728
19 P 0.663 0.378 0.367
20 O 0.853 0.714 0.773
21 O 0.943 0.710 0.038
22 O 0.557 0.710 0.538
23 P 0.837 0.378 0.867
24 O 0.842 0.269 0.488

E_tot: -175.28 eV/cell
Spin magnetization: 4.00 μB/f.u.
SG: P2_1/c


No. 3
DFT (PBE+U) results for crystalline MnPO4 at its relaxed geometry.

Lattice parameters (Å, degrees): 7.184 8.395 8.455 119.70 93.75 89.80
Fractional positions:
1 Mn 0.549 0.663 0.339
2 Mn 0.451 0.337 0.661
3 P 0.742 0.038 0.360
4 P 0.258 0.962 0.640
5 O 0.568 0.145 0.438
6 P 0.244 0.679 0.041
7 Mn 0.050 0.328 0.671
8 O 0.426 0.705 0.159
9 O 0.579 0.565 0.721
10 O 0.932 0.546 0.704
11 O 0.421 0.435 0.279
12 O 0.740 0.601 0.477
13 Mn 0.500 0.000 0.000
14 O 0.929 0.278 0.847
15 O 0.432 0.855 0.562
16 O 0.071 0.722 0.153
17 Mn 0.950 0.672 0.329
18 Mn 0.000 0.000 0.000
19 O 0.225 0.158 0.188
20 P 0.756 0.321 0.959
21 O 0.753 0.867 0.393
22 O 0.068 0.454 0.296
23 O 0.237 0.477 0.876
24 O 0.574 0.295 0.841
25 O 0.260 0.399 0.523
26 O 0.268 0.034 0.847
27 O 0.751 0.185 0.031
28 O 0.922 0.158 0.445
29 P 0.755 0.636 0.678
30 O 0.775 0.842 0.812
31 O 0.732 0.966 0.153
32 O 0.247 0.133 0.607
33 O 0.078 0.842 0.555
34 P 0.245 0.364 0.322
35 O 0.249 0.815 0.969
36 O 0.763 0.523 0.124

E_tot: -265.12 eV/cell
>>>

If you are a highly sensitive person, below are some strategies that you can implement to improve your capacity in emotionally charged situations.

  • Accept your feelings. One thing highly sensitive people seem to struggle with is this idea that the emotion is wrong. They have a sense that they really shouldn’t be sad. Its as though the emotion is a kind of failure. So, they try to fight the emotion. Which, of course, doesn’t work (shocking). A better plan would simply be to see the feeling as a natural part of the emotional spectrum. Would you like to be feeling something other than pissed off? Sure. That’s okay. But it’s also okay that you are angry right now. Pushing it away will only make the whole thing last longer. What you resist, persists.
  • Do not be ashamed of the feeling as it arises. This is something I definitely struggle with. If I’m starting to feel grumpy. Angry. Anxious. Sad…it brings on a sense of shame. It’s a part of me I would rather override. There is the fear that if anyone were to see this side of me, it would be viewed as a weakness. It would seem crazy. Maybe I am crazy. And, of course, shame does no one any favors. If Brene Brown has taught us nothing, she has made clear that shame is not a helpful response to any situation. Part of this is linked back with highly sensitive people’s higher rates of perfectionism. If I am having an uncomfortable emotion, that means I have flaws. And to be flawed is to be undeserving of affection. A better way of responding would be to treat yourself the same way you would treat a friend. Do you think your loved ones are less lovable when they are in pain? Probably not. What would you tell them? 
  •  Believe you can cope as well as others do. When these intense feelings come on, sometimes if feels so big that it’s far outside of my hands. And when I look around, I don’t see anyone else being paralyzed by a lousy mood. That further compounds the problem. If they aren’t buckling, that must mean I am just less capable than they are. Weaker. But that isn’t true. Everyone has their respective struggles. And most people are hiding their challenges and vulnerabilities as protectively as you might be hiding yours.
  • Remember…It’s temporary. I am definitely guilty, here. When I start to feel myself slipping into an especially dark place, it really does feel as though that sensation will last forever. Intellectually, I know that doesn’t make any sense. But emotionally, I feel like it will never end. The area in my life that is challenged most by this is my relationship. If I am upset with my beloved, a shadow can fall over my entire perspective of the relationship overall. Perhaps it will always be like this? Maybe I should get out now before its too late and we make each other miserable forever! But then…it passes. The intensity wanes. We make up. Life goes on. It’s important to remember that these emotions are valid…but they are also very likely temporary.
  • Remind yourself that you are capable of influencing your environment, changing the situation and surviving the challenge. When I am spinning out of control, I see myself as being powerless. It feels like I’m getting hijacked. But at the end of the day, you and I really can do something to help ourselves. We can’t control our emotions or the circumstances that helped foster them. But we can influence them. We do that by tapping into emotional regulation strategies. For example…
  • Reconnect with your body (get out of your head!). When feeling anxious, try picking up the pace of your body to match the pace of your thoughts. If your heart is racing and your mind is spinning, rather than try and force everything to slow down, it can often be best to first speed things up. Go for a brisk walk. Or run. Do some pushups. It doesn’t matter. Just anything to get your body moving. It helps burn off some of the adrenaline that is coursing through your veins. And once your body matches your mind…that can be the time when you gradually start to slow the process back down. Can’t move? That’s okay. Try power poses. This is real, folks. According to research…even changing the way you sit can change your mental state. It impacts us on a physiological level.
  • Make sure you have an outlet. Whether it’s writing, painting, podcasting, singing or under-water basket weaving…highly sensitive people tend to fair best in challenging emotional states when they have an outlet to move through the emotion. Andy Mort, an HSP, artist, musician and popular podcaster stresses this continuously. We feel things intensely. That intensity is best served being put to use in the form of something constructive and moving. Some of the most beautiful works of art have come from the ashes of pain.
  • Arrange your environment to support your body’s rhythms. HSP fair best when they have go-to places they can count on to recharge. They also thrive with a regular routine. Try to make your bedroom a peaceful place to retreat to. That will help with rest and sleep. In the winter months, keep a full spectrum light around for early morning hours to prevent SAD (seasonal affective disorder). At your desk at work, try to beautify it. Keep lavender essential oils with you to help sooth you in challenging situations. Cary earphones with you so that you can reach for soft music or a guided meditation. In other words – be proactive and do what you can to keep your environment supportive to you.
  • Balance your blood sugar.  There is a bumper sticker I saw, recently, that read “I’m sorry about what I said when I was hungry.” I’m convinced it was authored by an HSP. Highly sensitive people seem to be particularly sensitive to the ups and downs of their blood sugar. They are the ones most likely able to report their hunger and satiety levels with acute accuracy. That’s not necessarily true for every HSP. It’s just an observation made amongst many. If you’re noticing yourself get foggy-brained and cranky…check your hunger levels. And for the love of all that is holy…do NOT engage in any difficult conversations with any other human beings if you are hungry. NOTHING good will come of that. Trust me. (Unless the difficult conversation is “where should we eat?”
  • Develop a mindfulness based practice. It can be meditation. Deep breathing. Yoga. Doesn’t matter. The point is that you want to set up a practice that helps you develop the skill of observing your thoughts from a distance. Think of it this way — when your emotions get triggered, you’re essentially getting hijacked. It’s as though your mind has fallen into a rapidly moving river and you are getting swept down the current. Having some form of a mindfulness based practice is the equivalent of pulling yourself out of the river so that you can take a look at the current of your thoughts from the safety of a bank.

Highly sensitive people can be delightful to be around when they are in a good space. They tend to fully embody gratitude, joy, and love in such a way that it makes those around them feel invigorated and appreciated. But if the highs are that high, you need to know that the lows are going to be that low. Your job isn’t to force the lows to go away. Those lows are a part of you. They are as important and valuable as the highs. Having said that – they are painful, and the danger is that if you don’t develop tools to cope with it, you can get trapped by it.

Treat your own self the same way you might treat a good friend during challenging times – be the friend to yourself that you are to others…and you’ll be just fine.